Could you copy only the last part of the contents below, starting with the line that has "-3.309 -1.683"?
Entry 1:
# CH2N2OS

One molecule with the formula CH2N2OS in a non-equilibrium geometry (the ωB97M-V functional and the def2-TZVPD basis, the OMol25 dataset).

- E_LUMO: 0.0121 Eh
- Energy above the lowest of the compared OMol25 structures with the same formula, charge and spin: 26.9 kJ/mol
- Kohn-Sham gap: 10.63 eV
- Highest occupied orbital energy: -10.30 eV

CARTESIAN COORDINATES (ANGSTROEM)
C -0.636 1.218 0.599
N -0.448 1.872 1.540
N 0.349 -1.025 0.044
O 0.260 0.754 -1.782
S -0.596 0.091 -0.787
H -0.150 -1.688 0.689
H 1.220 -1.223 -0.304

natural (NBO) analysis output, partial charges in e: atom 1 (C): -0.068, atom 2 (N): -0.258, atom 3 (N): -1.064, atom 4 (O): -0.900, atom 5 (S): 1.462, atom 6 (H): 0.415, atom 7 (H): 0.412


Entry 2:
# C6H10N

C6H10N as an isolated structure in a non-equilibrium geometry (the ωB97M-V functional and the def2-TZVPD basis, the OMol25 dataset).

- E_LUMO: -0.1294 Eh
- Energy above the lowest of the compared OMol25 structures with the same formula, charge and spin: 338.4 kJ/mol
- Charge: +1
- Kohn-Sham gap: 9.33 eV
- Highest occupied orbital energy: -12.86 eV

CARTESIAN COORDINATES (ANGSTROEM)
C -1.452 0.913 -0.958
C 0.726 1.300 0.090
C -0.952 -0.409 -0.449
C 0.018 1.039 -1.207
C 0.455 -0.174 0.219
C 1.544 -1.192 0.152
N -0.753 -0.496 0.998
H -2.048 0.845 -1.860
H -1.933 1.544 -0.208
H 1.775 1.546 -0.025
H 0.252 1.931 0.845
H -1.155 -1.327 -0.981
H 1.153 -2.203 0.052
H 2.171 -1.135 1.041
H 2.170 -0.984 -0.714
H -1.178 0.228 1.584
H -0.792 -1.425 1.421

natural (NBO) analysis output, partial charges in e: atom 1 (C): -0.506, atom 2 (C): -0.509, atom 3 (C): -0.021, atom 4 (C): 0.085, atom 5 (C): 0.199, atom 6 (C): -0.635, atom 7 (N): -0.523, atom 8 (H): 0.268, atom 9 (H): 0.211, atom 10 (H): 0.265, atom 11 (H): 0.212, atom 12 (H): 0.278, atom 13 (H): 0.231, atom 14 (H): 0.252, atom 15 (H): 0.279, atom 16 (H): 0.452, atom 17 (H): 0.462


Entry 3:
# C46H108N2O16

A 9-piece molecular cluster, C46H108N2O16 overall in a non-equilibrium geometry (the ωB97M-V functional and the def2-TZVPD basis, the OMol25 dataset).

- E_LUMO: 0.0162 Eh
- Energy above the lowest of the compared OMol25 structures with the same formula, charge and spin: 430.2 kJ/mol
- Kohn-Sham gap: 8.43 eV
- SMILES: CC1(C)CCCC(C)(C)N1O.CC1(C)CCCC(C)(C)N1O.COCCOC.COCCOC.COCCOC.COCCOC.COCCOC.COCCOC.COCCOC
- Highest occupied orbital energy: -7.99 eV

CARTESIAN COORDINATES (ANGSTROEM)
C -0.278 0.440 0.758
C -0.303 -0.746 -0.307
C 1.158 -1.118 -0.598
C -1.109 -1.921 0.326
C -1.693 -2.974 -0.608
C -2.456 -2.189 -1.684
C -1.680 -1.133 -2.444
C -0.644 -1.835 -3.368
C -2.683 -0.301 -3.323
N -1.075 -0.248 -1.458
O -0.497 0.880 -2.062
H -1.247 0.749 1.152
H 0.416 0.193 1.562
H 0.133 1.377 0.381
H 1.532 -1.894 0.069
H 1.216 -1.690 -1.524
H 1.960 -0.380 -0.629
H -0.395 -2.399 0.996
H -1.892 -1.623 1.022
H -0.897 -3.659 -0.899
H -2.401 -3.590 -0.054
H -3.309 -1.683 -1.232
H -2.781 -2.881 -2.460
H 0.055 -1.038 -3.622
H -1.197 -2.063 -4.279
H -0.098 -2.700 -2.990
H -2.240 0.056 -4.253
H -3.093 0.532 -2.751
H -3.582 -0.852 -3.598
H 0.355 0.594 -2.399
C -10.465 1.638 -1.383
C -10.161 2.470 -0.075
C -11.432 3.052 0.543
C -9.462 1.486 0.914
C -8.722 2.113 2.072
C -7.720 3.148 1.570
C -8.316 4.184 0.574
C -9.082 5.290 1.414
C -7.112 4.875 -0.144
N -9.204 3.558 -0.432
O -9.745 4.478 -1.257
H -11.168 0.831 -1.175
H -11.079 2.257 -2.037
H -9.604 1.215 -1.900
H -11.340 3.520 1.523
H -11.891 3.818 -0.081
H -12.121 2.208 0.583
H -10.229 0.959 1.481
H -8.839 0.736 0.425
H -9.520 2.598 2.634
H -8.286 1.310 2.666
H -6.952 2.625 1.000
H -7.215 3.757 2.320
H -9.690 5.948 0.793
H -8.357 6.014 1.784
H -9.674 4.903 2.243
H -6.417 4.201 -0.645
H -6.591 5.470 0.606
H -7.513 5.471 -0.964
H -9.200 4.322 -2.032
C 1.462 7.580 9.343
O 2.530 8.113 10.192
C 2.053 9.367 10.802
C 3.077 10.489 11.137
O 3.675 11.236 10.015
C 4.707 12.144 10.389
H 0.517 7.503 9.879
H 1.607 6.618 8.850
H 1.152 8.261 8.550
H 1.356 9.132 11.607
H 1.418 9.874 10.076
H 3.784 10.010 11.814
H -3.309 -1.683 -1.232
H -2.781 -2.881 -2.460
H 0.055 -1.038 -3.622
H -1.197 -2.063 -4.279
H -0.098 -2.700 -2.990
H -2.240 0.056 -4.253
H -3.093 0.532 -2.751
H -3.582 -0.852 -3.598
H 0.355 0.594 -2.399
C -10.465 1.638 -1.383
C -10.161 2.470 -0.075
C -11.432 3.052 0.543
C -9.462 1.486 0.914
C -8.722 2.113 2.072
C -7.720 3.148 1.570
C -8.316 4.184 0.574
C -9.082 5.290 1.414
C -7.112 4.875 -0.144
N -9.204 3.558 -0.432
O -9.745 4.478 -1.257
H -11.168 0.831 -1.175
H -11.079 2.257 -2.037
H -9.604 1.215 -1.900
H -11.340 3.520 1.523
H -11.891 3.818 -0.081
H -12.121 2.208 0.583
H -10.229 0.959 1.481
H -8.839 0.736 0.425
H -9.520 2.598 2.634
H -8.286 1.310 2.666
H -6.952 2.625 1.000
H -7.215 3.757 2.320
H -9.690 5.948 0.793
H -8.357 6.014 1.784
H -9.674 4.903 2.243
H -6.417 4.201 -0.645
H -6.591 5.470 0.606
H -7.513 5.471 -0.964
H -9.200 4.322 -2.032
C 1.462 7.580 9.343
O 2.530 8.113 10.192
C 2.053 9.367 10.802
C 3.077 10.489 11.137
O 3.675 11.236 10.015
C 4.707 12.144 10.389
H 0.517 7.503 9.879
H 1.607 6.618 8.850
H 1.152 8.261 8.550
H 1.356 9.132 11.607
H 1.418 9.874 10.076
H 3.784 10.010 11.814